Early Effects of NDAA Iran Sanctions Being Felt: EU Agrees on Oil Embargo, China Cuts Oil Contracts by Half

Iran's oil exports by country. (Click to enlarge) (From US Energy Information Administration; no, I don't know why China is at the bottom of the list)
Among the many controversial provisions in the NDAA which President Obama signed into law on New Years Eve are provisions aimed at disrupting Iran’s ability to export oil by punishing countries that do business with Iran’s central bank. Although the harshest sanctions on Iran’s bank don’t take full effect for another six months (and Obama says in his signing statement that he will regard the measures as nonbinding if they affect his “constitutional authority to conduct foreign relations”), Iran’s largest oil customers are planning to cut back dramatically on Iranian imports. The European Union has agreed in principal to a complete embargo on Iranian oil and China has already cut their imports from Iran for January and February to half their previous amount.
The moves by the EU and China will hit Iran very hard. As seen in the table above, China is Iran’s largest oil importer, buying 22% of Iran’s exports (but this only accounts for 11% of China’s overall imports), so cutting their order for the next two months in half will have a major impact on Iran’s overall oil revenues if replacement orders are not found quickly. The EU follows closely behind China, buying 18% of Iran’s oil exports. Note that these purchases are not spread evenly among EU nations, as Italy and Spain combine to account for over 75% of total EU imports of Iranian oil. Should the EU embargo actually take place, and even if China does not further reduce its purchasing, Iran is looking at a loss of about 30% of its oil export volume.
The Wall Street Journal describes some of the details of how the Iran oil sanctions are designed to take effect:
The bill specifically targets anyone doing business with Iran’s central bank, an attempt to force other countries to choose between buying oil from Iran or being blocked from any dealings with the U.S. economy.
Certain sanctions would begin to take effect in 60 days, including purchases not related to petroleum and the sale of petroleum products to Iran through private banks. The toughest measures won’t take effect for at least six months, including transactions from governments purchasing Iranian oil and selling petroleum products.
Reuters provides details on the status of the EU embargo:
European governments have agreed in principle to ban imports of Iranian oil, EU diplomats said on Wednesday, dealing a blow to Tehran that crowns new Western sanctions months before an Iranian election.
Diplomats said EU envoys held talks on Iran in the last days of December, and that any objections to an oil embargo had been dropped – notably from crisis-hit Greece which gets a third of its oil from Iran, relying on Tehran’s lenient financing. Spain and Italy are also big buyers.
“A lot of progress has been made,” one EU diplomat said, speaking on condition of anonymity. “The principle of an oil embargo is agreed. It is not being debated any more.”
China is cutting its orders and is driving hard bargains on payments for the oil it is purchasing:
China, which buys around 10 percent of Iran’s crude exports, cut its January purchases by about 285,000 barrels per day, just over half of the total average daily amount it imported in 2011.
“February would be the same as January, with the same cut,” said a Beijing-based senior crude trader who deals with Iranian oil.
The sticking point in talks is over the credit period. Top Chinese refiner Sinopec Corp, which processes around nine-tenths of China’s Iranian oil imports, is insisting on 90 days to pay for imports, while Iran wants payment in 60 days.
And, of course, no matter how “surgically” the sanctions are designed to affect only the Iranian government, the effects already are beginning to hit Iranian citizens very hard. Going back to the Reuters article about the EU embargo:
Tougher sanctions appear to be having an impact already on Iran’s streets, where prices for foodstuffs are soaring. The rial currency has lost 40 percent of its value against the dollar over the past month.
Currency exchanges have shut in Tehran and Iranians have queued to withdraw their savings from banks and buy dollars.
That economic hardship is being felt by the public two months before a parliamentary election, Iran’s first since a disputed 2009 presidential vote that led to massive street demonstrations, put down violently by Iran’s rulers.
The timing of the announcement of the sanctions in relation to the upcoming parliamentary elections in Iran can’t be a coincidence. It would appear that the US government has decided that inflicting damage on Iranian voters is a desirable route to getting them to vote against the current government. That is a very dangerous gamble to make, since the government should now be in a position to make the argument that the current hardships are not the fault of Iran’s government but are instead due to US meddling.
And meddling it is. The US can’t harm Iran by stopping its own importation of Iranian oil because it has been more than 20 years since the US imported any Iranian oil. In fact, 1987 is the only year since the 1979 hostage crisis in which the US imported more than 50,000 barrels of Iranian oil a day and no Iranian oil at all has been imported since 1991. So, just as Iran’s threat to close the Strait of Hormuz was taking the attitude that if Iran couldn’t export oil, no Persian Gulf countries could export oil, the US, in implementing these sanctions, is saying that since the US uses no Iranian oil, no country should use Iranian oil.
Brent crude is, as of a few moments ago, $113.42bbl and way too expensive to allow a quick economic recovery anywhere. The new sanctions idiocy will no doubt increase the price (unless of course the oil brethren forego windfall profits) and will slow the world wide economic recovery even more. Idiocy.
And what will be gained? More excuses to destroy Alaskan lands, more excuses to drive the Keystone pipe line, more excuses to stay in Afghanistan to protect the proposed pipeline, more money for the oil cartels to spread around the WH and Congress?
What does the USACorp hope to make Iran do, stop their nuke power program, stop calling out Israel for being war mongering bigoted apartheid pigs, throw out their duly elected government? What?
Of course USACorp’s big daddy, Saudi Arabia, will be the prime beneficiary. Quelle Surprise.
I would note how the conservative leaders of Britain and France can also trumpet “Let’s
bombembargo Iran” because they too import little Iranian oil.@MadDog: Indeed. And conversely, not much noise from Italy and Spain, who do rely on it heavily.
@Jim White: And while Germany, like Britain and France, does not import much Iranian oil, their anti-war psychology since WW II means that they can’t personally be involved in bombing Iran, but quiet government cheerleading from the sidelines is likely underway.
You don’t get that apparent EU unanimity for an Iran oil embargo without the top dog in EU barking its approval.
@MadDog: Funny you should mention Germany. I spent some time this morning trying to understand what Mehr News is saying in this article about Germany being more “logical” than other countries in the negotiations about the sanctions, but finally gave up. I suppose I should go read some of the German press to see if it can shed some light on what’s going on, but haven’t gotten around to that yet.
@Jim White: Though I’m obviously not in the German government decision loop, my reading of the entrails is that the EU’s position on an Iranian oil embargo could not have reached the strength we see today without Germany backing it foursquare.
[Next to the article, the page also holds materials data]
=====
i) First-principles (PBE) data for BaIrPt2 after structural relaxation, as listed in Alexandria.

Output
The calculation puts the volume at 23.662 Å³ per atom.

a = 3.7816 Å, b = 5.5052 Å, c = 9.0927 Å
α = 90.00°, β = 90.00°, γ = 90.00°
Space group Immm (No. 71)
Symmetry-distinct sites (fractional):
Ba 0.0000 0.0000 0.0000
Ir 0.0000 0.0000 0.5000
Pt 0.0000 0.5000 0.1897

ii) First-principles (PBE) data for BaIrPt2 after structural relaxation, as listed in Alexandria.

Output
The calculation puts the volume at 20.200 Å³ per atom.

a = 4.3869 Å, b = 4.3869 Å, c = 4.1985 Å
α = 90.00°, β = 90.00°, γ = 90.00°
Space group P4/mmm (No. 123)
Symmetry-distinct sites (fractional):
Ba 0.0000 0.0000 0.0000
Ir 0.5000 0.5000 0.0000
Pt 0.0000 0.5000 0.5000

iii) First-principles (PBE) data for BaIrPt2 after structural relaxation, as listed in Alexandria.

Output
The calculation puts the volume at 19.573 Å³ per atom.

a = 3.0168 Å, b = 3.0168 Å, c = 29.7998 Å
α = 90.00°, β = 90.00°, γ = 120.00°
Space group R-3m (No. 166, hexagonal axes)
Symmetry-distinct sites (fractional):
Ba 0.0000 0.0000 0.0000
Ir 0.0000 0.0000 0.5000
Pt 0.0000 0.0000 0.2372

iv) First-principles (PBE) data for BaIrPt2 after structural relaxation, as listed in Alexandria.

Output
The calculation puts the volume at 20.428 Å³ per atom.

a = 2.9742 Å, b = 5.2249 Å, c = 10.5163 Å
α = 90.00°, β = 90.00°, γ = 90.00°
Space group Imm2 (No. 44)
Symmetry-distinct sites (fractional):
Ba 0.0000 0.0000 0.0000
Ir 0.0000 0.5000 0.7773
Pt 0.0000 0.0000 0.4928
Pt 0.0000 0.5000 0.2203

What is the stability order? It is i), iv), ii), iii), from most stable to least stable.

i) First-principles (PBE) data for BaIrPt2 after structural relaxation, as listed in Alexandria.

Output
The calculation puts the volume at 21.083 Å³ per atom.

a = 3.3582 Å, b = 3.3582 Å, c = 7.4777 Å
α = 90.00°, β = 90.00°, γ = 90.00°
Space group P4/mmm (No. 123)
Symmetry-distinct sites (fractional):
Ba 0.0000 0.0000 0.0000
Ir 0.0000 0.0000 0.5000
Pt 0.5000 0.5000 0.3209

ii) First-principles (PBE) data for BaIrPt2 after structural relaxation, as listed in Alexandria.

Output
The calculation puts the volume at 20.187 Å³ per atom.

a = 4.3418 Å, b = 4.3418 Å, c = 8.5672 Å
α = 90.00°, β = 90.00°, γ = 90.00°
Space group I-4m2 (No. 119)
Symmetry-distinct sites (fractional):
Ba 0.0000 0.0000 0.0000
Ir 0.0000 0.5000 0.7500
Pt 0.0000 0.0000 0.5000
Pt 0.0000 0.5000 0.2500

iii) First-principles (PBE) data for BaIrPt2 after structural relaxation, as listed in Alexandria.

Output
The calculation puts the volume at 20.611 Å³ per atom.

a = 6.9088 Å, b = 6.9088 Å, c = 6.9088 Å
α = 90.00°, β = 90.00°, γ = 90.00°
Space group Fm-3m (No. 225)
Symmetry-distinct sites (fractional):
Ba 0.0000 0.0000 0.0000
Ir 0.0000 0.0000 0.5000
Pt 0.2500 0.2500 0.2500

iv) First-principles (PBE) data for BaIrPt2 after structural relaxation, as listed in Alexandria.

Output
The calculation puts the volume at 21.253 Å³ per atom.

a = 3.3662 Å, b = 3.3662 Å, c = 7.5025 Å
=====
This Der Spiegel piece today references an earlier Der Spiegel piece from December 2011 that seems to confirm that Germany is now a strong backer of the Iranian oil embargo but prefers to remain mostly in the shadows.
@Jim White: I get the sense that the piece in Mehr News is the official Iranian government view and an attempt by the Iranian government to try to play on German anti-war sensitivities and at the very least, get the German government to be Iran’s interlocutor to the EU, if not Iran’s proxy.
From what I see from the outside, this attempt by Iran is not succeeding.
Well, we’re now in a position analogous to that FDR forced upon the Japanese in embargoing our exports of oil to them in 1939-40 (I forget the exact date, but it doesn’t matter anyway). They had none of their own and, to fuel their country, felt compelled to move on the Dutch East Indies (now Indonesia) for the oil there. All those Pearl Harbor Survivors can tell us how that worked out.
Iran will, because its people will be suffering, almost certainly be forced into some level of violence, lashing out at those who put them in this predicament. There has hardly been a better casus belli than a government pointing at another country and saying to its people: “those other guys over there have caused this”. Hungry bellies translate easily to rage, and rage, to violence. This is a month’s worth of neo-con wet dreams of war compressed into one night.
And you thought that because we were negotiating a way out of Afghanistan, the wars would end (For a while)….
I see the usual unintended consequences on the horizon.
The G20 powers think they can implement this embargo on their own terms. But, what if Iran decides; screw you, no oil for you? What if they stop shipments immediately and demand full payment for previous shipments and cash in advance for future shipments? Will this action drive Iran and Iraq closer together? What if Iran slashes the price of oil to $55 / bbl and sells on the black market, to anyone willing to come and get it?
All this risk to punish a country for something no one has proven it has done.
That’s the problem in a nutshell. I wrote several posts as the IAEA report on Iran came out. The claims in the report that Iran is pursuing a nuclear weapon are at best not very well supported.
The Chinese are playing hardball for lower prices. As soon as they get their price they will resume buying and nix any attack by U.S. in the Security Council. We can’t offer China anything except holding more U.S. debt that they don’t want.
It’s interesting how the free market works.
Ironically, as you mention how it’s a gamble on the part of the US and EU on Iran’s upcoming parliamantary elections… What about the subsequent ‘bite’ the EU/US will experience with $200+ barrel of oil…! I’m sure the Greeks, Italians, Spaniards, and even American’s will just adore their respective Politcos enabling this self-imposed Austerity lunacy…! *gah*
Where’s the ‘Adults’…?
Simon Jenkins wrote a sobering Op-Ed in the Guardian…
Why is Britain ramping up sanctions against Iran?
Sabre-rattling at Washington’s behest is an idiocy, and likely to do little other than escalate the steps to open conflict…
*heh* You really have to ponder the titling of their ‘Exercises’ and others…
Thousands of US troops deploying to Israel…
Without much media attention, thousands of American troops are being deployed to Israel, and Iranian officials believe that this is the latest and most blatant warning that the US will soon be attacking Tehran…
…Under the Austere Challenge 12 drill scheduled for an undisclosed time during the next few weeks, the Israeli military will together with America host the largest-ever joint missile drill by the two countries. Following the installation of American troops near Iran’s neighboring Strait of Hormuz and the reinforcing of nearby nations with US weapons, Tehran authorities are considering this not a test but the start of something much bigger.
In the testing, America’s Theater High Altitude Area Defense, or THAAD, missile system will be operating alongside its ship-based Aegis system and Israel’s own program to work with Arrow, Patriot and Iron Drone missiles.
Israeli military officials say that the testing was planned before recent episodes involving the US and Iran. Of concern, however, is how the drill will require the deployment of thousands of American troops into Israel. The Jerusalem Post quotes US Commander Lt.-Gen Frank Gorenc as saying the drill is not just an “exercise” but also a “deployment” that will involve “several thousand American soldiers” heading to Israel. Additionally, new command posts will be established by American forces in Israel and that country’s own IDF army will begin working from a base in Germany.
In September, the US European Command established a radar system in Israel…
Austere Challenge
2012…? No sh*t, Sherlock…! 8-(So how does this effect the Koch Bros. and their dealings with Iran?
@TheMomCat: It’s a win-win, all the way around for the Kochsuckers…! They’ll still rake in their obscene amounts of profit, just from the price increase, with the added bonus of having the US public clamoring for the ‘domestic’ Oil Security of the Alberta Tarsands, utilizing the Keystone pipeline which delivers it to their refineries in Texas…!
Hungry bellies translate easily to rage, and rage, to violence…scribe
“Revolutions are fought by those whose ribs are easily counted.”
@par4: #11
I’ll agree that it’s bargaining rather than politics driving the PRC. I will also observe that there are several so-called civilian operations not tied directly to Sinopec [which has had its own management problems according to Xinhua] will probably buy oil on the side.